Daylight Symposium
-- begin --
i | Formula: C3H7N2S
Source: OMol25
Level of theory: ωB97M-V/def2-TZVPD

## Properties
HOMO energy, eV: -13.21
Charge: +1
Frontier orbital gap, Ha: 0.35823

```
13
C3H7N2S | OMol25 | ωB97M-V/def2-TZVPD
C -0.638 0.688 -0.261
C 1.154 -1.557 0.789
C 1.127 -0.365 -0.126
N -0.791 1.915 0.122
N -1.422 -0.102 -0.917
S 2.021 -0.011 1.254
H 0.356 -2.098 1.225
H 2.075 -2.214 0.508
H 1.369 -0.197 -1.118
H -0.105 2.386 0.739
H -1.614 2.514 -0.099
H -1.196 -1.062 -1.031
H -2.335 0.102 -1.085
```

ii | Formula: C3H7N2S
Source: OMol25
Level of theory: ωB97M-V/def2-TZVPD

## Properties
HOMO energy, eV: -13.67
SMILES string: NC/C=[NH+]/C=S
Charge: +1
Frontier orbital gap, Ha: 0.27480

```
13
C3H7N2S | OMol25 | ωB97M-V/def2-TZVPD
N -1.688 0.444 -0.111
C -1.190 -0.885 -0.038
C 0.294 -0.832 -0.065
N 0.758 0.356 0.084
C 2.037 0.716 -0.042
S 3.352 -0.272 -0.036
H -1.645 1.047 -0.910
H -2.062 0.918 0.670
H -1.744 -1.667 -0.593
H -1.271 -1.128 1.014
H 0.982 -1.679 -0.138
H 0.013 1.143 0.340
H 2.164 1.840 -0.176
```

Most stable = ii

i | Formula: C4H8NO2S
Source: OMol25
Level of theory: ωB97M-V/def2-TZVPD

## Properties
HOMO energy, eV: -3.34
Charge: -1
Frontier orbital gap, Ha: 0.26097

```
16
C4H8NO2S | OMol25 | ωB97M-V/def2-TZVPD
C 0.186 0.877 -0.148
C 1.255 1.722 0.535
C 0.667 -2.123 -0.611
C -1.051 0.540 0.614
N -2.092 0.175 -0.031
O -3.195 -0.292 0.415
O 0.075 0.760 -1.390
S 1.117 -1.077 0.790
H 2.290 1.457 0.026
H 0.964 2.669 0.215
H 1.161 1.439 1.508
H 1.354 -2.857 -0.809
H 0.542 -1.619 -1.586
H -0.366 -2.466 -0.329
H -1.098 0.456 1.787
H -1.810 0.339 -0.986
```

ii | Formula: C4H8NO2S
Source: OMol25
Level of theory: ωB97M-V/def2-TZVPD

## Properties
HOMO energy, eV: -4.03
SMILES string: O=C([O-])NCCCS
Charge: -1
Frontier orbital gap, Ha: 0.25576

```
16
C4H8NO2S | OMol25 | ωB97M-V/def2-TZVPD
O 0.824 -2.446 -1.034
C 1.667 -1.756 -0.429
O 2.910 -1.721 -0.570
N 1.133 -0.792 0.476
C -0.247 -0.791 0.836
C -1.106 0.062 -0.184
C -0.431 1.356 -0.640
S -0.372 2.563 0.750
H 1.806 -0.323 1.047
H -0.407 -0.330 1.808
H -0.644 -1.795 0.684
H -2.071 0.264 0.289
H -1.194 -0.506 -1.115
H -0.992 1.747 -1.485
H 0.581 1.190 -0.995
H -1.457 3.280 0.563
```

iii | Formula: C4H8NO2S
Source: OMol25
Level of theory: ωB97M-V/def2-TZVPD

## Properties
HOMO energy, eV: -4.03
SMILES string: O=C([O-])NCCCS
Charge: -1
Frontier orbital gap, Ha: 0.25592

```
16
C4H8NO2S | OMol25 | ωB97M-V/def2-TZVPD
O -2.065 1.220 -1.308
C -2.191 1.268 -0.045
O -3.278 1.339 0.608
N -1.002 0.949 0.692
C 0.290 0.866 0.031
C 0.491 -0.374 -0.902
C 0.844 -1.529 0.030
S 2.304 -1.581 1.251
H -1.125 0.536 1.556
H 1.096 0.908 0.828
H 0.489 1.792 -0.630
H 1.082 -0.362 -1.876
H -0.654 -0.567 -1.368
H 1.071 -2.478 -0.673
H -0.060 -1.696 0.767
H 2.708 -0.291 1.038
```

Most stable = ii

i | Formula: C5H6N3
Source: OMol25
Level of theory: ωB97M-V/def2-TZVPD

## Properties
HOMO energy (alpha / beta), eV: -11.89 / -11.89
SMILES string: C=[n+]1cc[nH]c1=C=N
Charge: +1
Frontier orbital gap (alpha / beta), Ha: 0.27485 / 0.27483
-- stop --
Back to the text >
- "Daylight and the Experience of Landscape" by Martin Schwartz
2019 - Daylight Symposium
"Daylight and the Experience of Landscape" by Martin Schwartz
Martin Schwartz
Presentation from the 8th VELUX Daylight Symposium that took place in Paris on 9 October 2019. For more information please visit http://thedaylightsite.com & https://www.velux.com/veluxdaysinparis
It is not true, as Robert Venturi wrote, that Alvar Aalto “didn’t write about architecture.” In the book, In His Own Words, Aalto’s writings and transcribed lectures, the Finnish architect discusses architecture, culture, technology, housing, and town planning. What seems remarkable is that Aalto had little to say about daylight, considering that light is a persistent, motivating force and nearly tangible presence in his architecture, and that he is considered a master of daylighting. Hence, these questions remain: How did Aalto develop his understanding of light and how did this understanding generate his architecture? This paper suggests that Aalto’s ideas about light are tied to his understanding of the Finnish landscape.
Daylight is not typically considered a critical element of the landscape and is seldom discussed in that context, but as Louekari and Edensor suggest, daylight cannot be excised from a consideration of the land. Sky and landscape are intertwined and, in any specific place in the world, one is an influence on the appearance and performance of the other. The reciprocal influence of land and light is particularly discernible in the Nordic countries where the landscape reflects the sky, where there is often too much or too little light, and where low sun angles easily translate into glare. Raised in the early 20th century, Aalto learned to hunt and fish in an evolving Finnish landscape of lakes, snow, and forest.
His ability to quantify the character of landscape was learned from his father, a master surveyor for whom he worked. Experiential knowledge combined with technical ability enabled Aalto to design architecture as interior landscapes, with shifting levels, spaces that meandered to encourage movement, varying ceiling heights, suffused with changing daylight. In this way, Aalto developed subtly varying degrees of enclosure, from great rooms to small clearings, vivified by direct sun and skylight gathered and diffused from sky-like, sculpted white surfaces. In Aalto’s work, daylight and space are inseparable, as they are in the landscape.
Martin Schwartz is an architect and teacher with a special interest in daylight in architecture. He has taught at the University of Plymouth, the University of Michigan, Cranbrook Academy of Art, the University of Oregon as the Frederick Charles Baker Distinguished Professor in Lighting, and since 2005 at Lawrence Technological University in Detroit. His book, Gunnar Birkerts, Metaphoric Modernist, was published in 2009 by Edition Axel Menges. He is currently working on two books, one on daylight in architecture, and Those Who Love the World Don’t Mind Being Reminded of It, on the work of Charles W. Moore. Martin’s blog and writings on daylight may be found at martinschwartz.net.